Assignment
Echo everything further below without additions.

Excerpt
No. 1
Here is crystalline Tl2FeCl5 at its relaxed geometry from Alexandria. Energies are from PBE-GGA.

Calculated values
**Formation energy from raw total energies**: -20.71 kcal/mol of atoms
**M_tot**: 0.63 μB/atom

Unit cell a=7.0446 b=7.0446 c=7.0446 alpha=116.35 beta=116.35 gamma=96.45
Last column: nearest neighbours and their distance in Å.
Sites, in units of the cell vectors:
Tl 0.0000 0.5000 0.5000  4 Cl 3.21
Tl 0.5000 0.0000 0.5000  4 Cl 3.21
Fe 0.2491 0.2491 0.0000  5 Cl 2.20-2.36
Cl 0.4132 0.4132 0.4386  1 Fe 2.36
Cl 0.4132 0.9746 0.0000  1 Fe 2.36
Cl 0.4835 0.4835 0.0000  1 Fe 2.20
Cl 0.9746 0.4132 0.0000  1 Fe 2.36
Cl 0.9746 0.9746 0.5614  1 Fe 2.36

No. 2
Here is crystalline Tl2FeCl5 at its relaxed geometry from Alexandria. Energies are from PBE-GGA.

Calculated values
**Formation energy from raw total energies**: -21.52 kcal/mol of atoms
**M_tot**: 0.62 μB/atom

Unit cell a=12.8354 b=9.4078 c=9.8635 alpha=90.00 beta=107.38 gamma=90.00
Last column: nearest neighbours and their distance in Å.
Sites, in units of the cell vectors:
Tl 0.0253 0.1251 0.2064  5 Cl 3.08-3.41
Tl 0.0253 0.3749 0.7064  5 Cl 3.08-3.41
Tl 0.3527 0.1360 0.0369  1 Cl 2.93
Tl 0.3527 0.3640 0.5369  1 Cl 2.93
Tl 0.6473 0.6360 0.4631  1 Cl 2.93
Tl 0.6473 0.8640 0.9631  1 Cl 2.93
Tl 0.9747 0.6251 0.2936  5 Cl 3.08-3.41
Tl 0.9747 0.8749 0.7936  5 Cl 3.08-3.41
Fe 0.2971 0.5766 0.0209  4 Cl 2.19-2.23
Fe 0.2971 0.9234 0.5209  4 Cl 2.19-2.23
Fe 0.7029 0.0766 0.4791  4 Cl 2.19-2.23
Fe 0.7029 0.4234 0.9791  4 Cl 2.19-2.23
Cl 0.1139 0.1308 0.9491  4 Tl 2.93-3.27
Cl 0.1139 0.3692 0.4491  4 Tl 2.93-3.27
Cl 0.1244 0.6193 0.0033  1 Fe 2.21
Cl 0.1244 0.8807 0.5033  1 Fe 2.21
Cl 0.2988 0.0639 0.3394  1 Fe 2.23
Cl 0.2988 0.4361 0.8394  1 Fe 2.23
Cl 0.3767 0.0499 0.7136  1 Fe 2.22
Cl 0.3767 0.4501 0.2136  1 Fe 2.22
Cl 0.3857 0.7252 0.5155  1 Fe 2.19
Cl 0.3857 0.7748 0.0155  1 Fe 2.19
Cl 0.6143 0.2252 0.9845  1 Fe 2.19
Cl 0.6143 0.2748 0.4845  1 Fe 2.19
Cl 0.6233 0.5499 0.7864  1 Fe 2.22
Cl 0.6233 0.9501 0.2864  1 Fe 2.22
Cl 0.7012 0.5639 0.1606  1 Fe 2.23
Cl 0.7012 0.9361 0.6606  1 Fe 2.23
Cl 0.8756 0.1193 0.4967  1 Fe 2.21
Cl 0.8756 0.3807 0.9967  1 Fe 2.21
Cl 0.8861 0.6308 0.5509  4 Tl 2.93-3.27
Cl 0.8861 0.8692 0.0509  4 Tl 2.93-3.27

No. 3
Here is crystalline Tl2FeCl at its relaxed geometry from Alexandria. Energies are from PBE-GGA.

Calculated values
**Formation energy from raw total energies**: 7.63 kcal/mol of atoms
**M_tot**: 0.74 μB/atom

Unit cell a=5.2354 b=5.2354 c=5.2354 alpha=60.00 beta=60.00 gamma=60.00
Last column: nearest neighbours and their distance in Å.
Sites, in units of the cell vectors:
Tl 0.2500 0.2500 0.2500  4 Cl 3.21, 4 Fe 3.21
Tl 0.7500 0.7500 0.7500  4 Cl 3.21, 4 Fe 3.21
Fe 0.0000 0.0000 0.0000  8 Tl 3.21
Cl 0.5000 0.5000 0.5000  8 Tl 3.21

No. 4
Here is crystalline TlFe4Cl at its relaxed geometry from Alexandria. Energies are from PBE-GGA.

Calculated values
**Formation energy from raw total energies**: 11.67 kcal/mol of atoms
**M_tot**: 1.96 μB/atom

Unit cell a=5.1546 b=5.1546 c=5.1546 alpha=60.00 beta=60.00 gamma=60.00
Last column: nearest neighbours and their distance in Å.
Sites, in units of the cell vectors:
Tl 0.0000 0.0000 0.0000  12 Fe 3.02, 4 Cl 3.16
Fe 0.3739 0.3739 0.3739  6 Fe 2.55-2.60
Fe 0.3739 0.3739 0.8784  6 Fe 2.55-2.60
Fe 0.3739 0.8784 0.3739  6 Fe 2.55-2.60
Fe 0.8784 0.3739 0.3739  6 Fe 2.55-2.60
Cl 0.7500 0.7500 0.7500  12 Fe 3.02, 4 Tl 3.16

No. 5
Here is crystalline Tl3Fe2Cl7 at its relaxed geometry from Alexandria. Energies are from PBE-GGA.

Calculated values
**Formation energy from raw total energies**: -19.09 kcal/mol of atoms
**M_tot**: 0.67 μB/atom

Unit cell a=13.3648 b=13.3648 c=13.3648 alpha=158.60 beta=158.60 gamma=30.44
Last column: nearest neighbours and their distance in Å.
Sites, in units of the cell vectors:
Tl 0.0000 0.0000 0.0000  12 Cl 3.48-3.51
Tl 0.1817 0.1817 0.0000  9 Cl 3.28-3.52
Tl 0.8183 0.8183 0.0000  9 Cl 3.28-3.52
Fe 0.4032 0.4032 0.0000  6 Cl 2.43-2.50

Outcome
No. 1
Here is crystalline Tl2FeCl5 at its relaxed geometry from Alexandria. Energies are from PBE-GGA.

Calculated values
**Formation energy from raw total energies**: -20.71 kcal/mol of atoms
**M_tot**: 0.63 μB/atom

Unit cell a=7.0446 b=7.0446 c=7.0446 alpha=116.35 beta=116.35 gamma=96.45
Last column: nearest neighbours and their distance in Å.
Sites, in units of the cell vectors:
Tl 0.0000 0.5000 0.5000  4 Cl 3.21
Tl 0.5000 0.0000 0.5000  4 Cl 3.21
Fe 0.2491 0.2491 0.0000  5 Cl 2.20-2.36
Cl 0.4132 0.4132 0.4386  1 Fe 2.36
Cl 0.4132 0.9746 0.0000  1 Fe 2.36
Cl 0.4835 0.4835 0.0000  1 Fe 2.20
Cl 0.9746 0.4132 0.0000  1 Fe 2.36
Cl 0.9746 0.9746 0.5614  1 Fe 2.36

No. 2
Here is crystalline Tl2FeCl5 at its relaxed geometry from Alexandria. Energies are from PBE-GGA.

Calculated values
**Formation energy from raw total energies**: -21.52 kcal/mol of atoms
**M_tot**: 0.62 μB/atom

Unit cell a=12.8354 b=9.4078 c=9.8635 alpha=90.00 beta=107.38 gamma=90.00
Last column: nearest neighbours and their distance in Å.
Sites, in units of the cell vectors:
Tl 0.0253 0.1251 0.2064  5 Cl 3.08-3.41
Tl 0.0253 0.3749 0.7064  5 Cl 3.08-3.41
Tl 0.3527 0.1360 0.0369  1 Cl 2.93
Tl 0.3527 0.3640 0.5369  1 Cl 2.93
Tl 0.6473 0.6360 0.4631  1 Cl 2.93
Tl 0.6473 0.8640 0.9631  1 Cl 2.93
Tl 0.9747 0.6251 0.2936  5 Cl 3.08-3.41
Tl 0.9747 0.8749 0.7936  5 Cl 3.08-3.41
Fe 0.2971 0.5766 0.0209  4 Cl 2.19-2.23
Fe 0.2971 0.9234 0.5209  4 Cl 2.19-2.23
Fe 0.7029 0.0766 0.4791  4 Cl 2.19-2.23
Fe 0.7029 0.4234 0.9791  4 Cl 2.19-2.23
Cl 0.1139 0.1308 0.9491  4 Tl 2.93-3.27
Cl 0.1139 0.3692 0.4491  4 Tl 2.93-3.27
Cl 0.1244 0.6193 0.0033  1 Fe 2.21
Cl 0.1244 0.8807 0.5033  1 Fe 2.21
Cl 0.2988 0.0639 0.3394  1 Fe 2.23
Cl 0.2988 0.4361 0.8394  1 Fe 2.23
Cl 0.3767 0.0499 0.7136  1 Fe 2.22
Cl 0.3767 0.4501 0.2136  1 Fe 2.22
Cl 0.3857 0.7252 0.5155  1 Fe 2.19
Cl 0.3857 0.7748 0.0155  1 Fe 2.19
Cl 0.6143 0.2252 0.9845  1 Fe 2.19
Cl 0.6143 0.2748 0.4845  1 Fe 2.19
Cl 0.6233 0.5499 0.7864  1 Fe 2.22
Cl 0.6233 0.9501 0.2864  1 Fe 2.22
Cl 0.7012 0.5639 0.1606  1 Fe 2.23
Cl 0.7012 0.9361 0.6606  1 Fe 2.23
Cl 0.8756 0.1193 0.4967  1 Fe 2.21
Cl 0.8756 0.3807 0.9967  1 Fe 2.21
Cl 0.8861 0.6308 0.5509  4 Tl 2.93-3.27
Cl 0.8861 0.8692 0.0509  4 Tl 2.93-3.27

No. 3
Here is crystalline Tl2FeCl at its relaxed geometry from Alexandria. Energies are from PBE-GGA.

Calculated values
**Formation energy from raw total energies**: 7.63 kcal/mol of atoms
**M_tot**: 0.74 μB/atom

Unit cell a=5.2354 b=5.2354 c=5.2354 alpha=60.00 beta=60.00 gamma=60.00
Last column: nearest neighbours and their distance in Å.
Sites, in units of the cell vectors:
Tl 0.2500 0.2500 0.2500  4 Cl 3.21, 4 Fe 3.21
Tl 0.7500 0.7500 0.7500  4 Cl 3.21, 4 Fe 3.21
Fe 0.0000 0.0000 0.0000  8 Tl 3.21
Cl 0.5000 0.5000 0.5000  8 Tl 3.21

No. 4
Here is crystalline TlFe4Cl at its relaxed geometry from Alexandria. Energies are from PBE-GGA.

Calculated values
**Formation energy from raw total energies**: 11.67 kcal/mol of atoms
**M_tot**: 1.96 μB/atom

Unit cell a=5.1546 b=5.1546 c=5.1546 alpha=60.00 beta=60.00 gamma=60.00
Last column: nearest neighbours and their distance in Å.
Sites, in units of the cell vectors:
Tl 0.0000 0.0000 0.0000  12 Fe 3.02, 4 Cl 3.16
Fe 0.3739 0.3739 0.3739  6 Fe 2.55-2.60
Fe 0.3739 0.3739 0.8784  6 Fe 2.55-2.60
Fe 0.3739 0.8784 0.3739  6 Fe 2.55-2.60
Fe 0.8784 0.3739 0.3739  6 Fe 2.55-2.60
Cl 0.7500 0.7500 0.7500  12 Fe 3.02, 4 Tl 3.16

No. 5
Here is crystalline Tl3Fe2Cl7 at its relaxed geometry from Alexandria. Energies are from PBE-GGA.

Calculated values
**Formation energy from raw total energies**: -19.09 kcal/mol of atoms
**M_tot**: 0.67 μB/atom

Unit cell a=13.3648 b=13.3648 c=13.3648 alpha=158.60 beta=158.60 gamma=30.44
Last column: nearest neighbours and their distance in Å.
Sites, in units of the cell vectors:
Tl 0.0000 0.0000 0.0000  12 Cl 3.48-3.51
Tl 0.1817 0.1817 0.0000  9 Cl 3.28-3.52
Tl 0.8183 0.8183 0.0000  9 Cl 3.28-3.52
Fe 0.4032 0.4032 0.0000  6 Cl 2.43-2.50